Activity:
Could you echo only the lines below with the word "lowest" in them?
Material:
-- begin --
A structure of composition C9H13F3N13O3OsS in a non-equilibrium geometry. Source: OMol25; level of theory: ωB97M-V/def2-TZVPD.

Geometry as XYZ:
```
43
Properties=species:S:1:pos:R:3:mulliken_charge:R:1
Os 0.74855 -0.86191 -0.38361 1.377
N -2.07301 -2.48360 0.44727 0.041
C -2.16893 -1.37954 -0.34518 0.368
N -3.27303 -0.92407 -0.88164 -0.401
N -2.90598 0.19805 -1.52284 -0.411
N -1.64340 0.42511 -1.41219 -0.375
N -1.11993 -0.56040 -0.65024 0.566
C -0.97897 -2.80302 1.14909 0.319
N -0.87309 -3.78256 2.05136 -0.381
N 0.33339 -3.65852 2.53679 -0.535
N 0.98291 -2.64723 1.96259 -0.456
N 0.17893 -2.08377 1.08969 0.720
H -2.91264 -3.04258 0.58240 0.286
C 3.19448 -0.17033 0.77889 -0.690
N 4.11586 0.65731 1.49622 0.122
C 4.14569 2.00086 0.90142 -0.755
N 2.82854 2.63536 0.97749 0.116
C 1.87865 1.85020 0.24619 -0.514
N 1.77825 0.44039 0.82010 0.010
C 1.40454 0.57538 2.29707 -0.414
N 2.36247 1.38721 2.98609 0.079
C 3.68438 0.76275 2.89812 -0.688
C 2.41779 2.72157 2.38151 -0.726
H 3.13451 -1.16068 1.23688 0.334
H 3.49113 -0.23521 -0.27447 0.427
H 4.45614 1.92969 -0.14176 0.340
H 4.87061 2.60672 1.44166 0.340
H 2.17699 1.76032 -0.79792 0.305
H 0.88189 2.28852 0.30220 0.274
H 1.38038 -0.42240 2.72450 0.411
H 0.41387 1.02960 2.33287 0.241
H 3.64975 -0.23190 3.34351 0.359
H 4.40707 1.36805 3.44200 0.329
H 3.13361 3.33275 2.92778 0.325
H 1.43600 3.19139 2.44503 0.352
F 3.22948 -1.08515 -4.54365 -0.179
C 2.78676 -1.94482 -3.65035 0.704
F 2.63075 -3.13557 -4.17928 -0.174
F 3.62491 -2.00475 -2.61542 -0.209
S 1.15904 -1.32566 -3.02097 0.971
O 0.24426 -1.27321 -4.09061 -0.440
O 1.49279 -0.07302 -2.27641 -0.700
O 0.82563 -2.28039 -1.86620 -0.665
```

Calculated values
- gap between HOMO and LUMO (alpha / beta) (hartree) = 0.196 / 0.211
- net charge = +1
- relative energy (zero: lowest compared OMol25 entry of this formula, charge and spin) (kJ/mol) = 0.0
- maximum force (Eh/bohr) = 0.040
-- stop --
Response:
- relative energy (zero: lowest compared OMol25 entry of this formula, charge and spin) (kJ/mol) = 0.0